What is needed: echo the whole of the entries further below with every line break kept.

____________
Starting from a structure optimized by DFT (PBE), the powder diffractogram of Cs2AgHF6 was simulated for Cu Kα X-rays.
Kinematic intensities with the Lorentz-polarization factor, no thermal factor.

Largest 10 diffraction maxima, in order of falling intensity, 10° ≤ 2θ ≤ 80°:
(1 1 0), 2θ = 30.20°, I = 100
(0 1 8), 2θ = 26.89°, I = 86
(0 1 5), 2θ = 21.53°, I = 61
(2 0 5), 2θ = 37.39°, I = 39
(1 1 18), 2θ = 56.92°, I = 32
(0 2 7), 2θ = 39.56°, I = 32
(1 0 7), 2θ = 24.96°, I = 28
(2 0 8), 2θ = 40.87°, I = 28
(1 0 13), 2θ = 37.94°, I = 24
(1 0 10), 2θ = 31.08°, I = 22

Atomic structure:
a b c (Å): 5.9196 5.9196 34.7719
angles (deg): 90.00 90.00 120.00
Space group R-3m (No. 166, hexagonal axes)
One atom of each set of equivalent atoms:
Cs 0.0000 0.0000 0.1194 [6 per cell]
Cs 0.0000 0.0000 0.2776 [6 per cell]
Ag 0.0000 0.0000 0.0000 [3 per cell]
Ag 0.0000 0.0000 0.5000 [3 per cell]
H 0.0000 0.0000 0.3658 [6 per cell]
F 0.0066 0.5033 0.1335 [18 per cell]
F 0.0601 0.5300 0.3002 [18 per cell]

----------

Entry 1:
Computed X-ray diffraction stick pattern of ScGeRu for Cu Kα (weighted mean of Kα1 and Kα2), from DFT lattice parameters and positions (PBE).
Intensities are scaled so that the largest is 100.

Cell lengths 12.4066, 3.4607, 6.9410 Å; angles 90.00, 90.00, 90.00 degrees
Fractional positions:
Sc (0.0454, 0.0000, 0.2329)
Sc (0.2500, 0.0000, 0.6636)
Sc (0.4546, 0.0000, 0.2329)
Sc (0.5454, 0.0000, 0.7671)
Sc (0.7500, 0.0000, 0.3364)
Sc (0.9546, 0.0000, 0.7671)
Ge (0.0947, 0.5000, 0.5570)
Ge (0.2500, 0.0000, 0.0583)
Ge (0.4053, 0.5000, 0.5570)
Ge (0.5947, 0.5000, 0.4430)
Ge (0.7500, 0.0000, 0.9417)
Ge (0.9053, 0.5000, 0.4430)
Ru (0.1240, 0.5000, 0.9284)
Ru (0.2500, 0.5000, 0.3105)
Ru (0.3760, 0.5000, 0.9284)
Ru (0.6240, 0.5000, 0.0716)
Ru (0.7500, 0.5000, 0.6895)
Ru (0.8760, 0.5000, 0.0716)

Peak list (10 most intense, 5° ≤ 2θ ≤ 70°, low angle first)
2theta  Rel. int.
25.73  50.4
36.24  91.8
36.67  25.3
37.41  50.2
38.97  100.0
39.57  64.0
44.89  45.9
47.27  41.5
47.86  44.1
52.91  39.7

Entry 2:
Computed X-ray diffraction stick pattern of Pr4AlCu2 for Cu Kα (weighted mean of Kα1 and Kα2), from DFT lattice parameters and positions (PBE).
Intensities are scaled so that the largest is 100.

Cell lengths 9.0355, 9.0355, 9.0355 Å; angles 33.04, 33.04, 33.04 degrees
Fractional positions:
Pr (0.1216, 0.1216, 0.1216)
Pr (0.2898, 0.2898, 0.2898)
Pr (0.7102, 0.7102, 0.7102)
Pr (0.8784, 0.8784, 0.8784)
Al (0.5000, 0.5000, 0.5000)
Cu (0.4047, 0.4047, 0.4047)
Cu (0.5953, 0.5953, 0.5953)

Peak list (10 most intense, 5° ≤ 2θ ≤ 70°, low angle first)
2theta  Rel. int.
21.13  16.5
24.36  19.7
26.54  55.0
31.66  57.8
34.92  100.0
40.65  24.4
47.85  18.2
56.02  19.0
60.59  17.8
62.62  17.9

Entry 3:
Computed X-ray diffraction stick pattern of Pr5NdDy8 for Cu Kα (weighted mean of Kα1 and Kα2), from DFT lattice parameters and positions (PBE).
Intensities are scaled so that the largest is 100.

Cell lengths 8.9441, 8.9441, 16.9680 Å; angles 117.55, 117.55, 23.04 degrees
Fractional positions:
Pr (0.0000, 0.0000, 0.0000)
Pr (0.2869, 0.2869, 0.3567)
Pr (0.3554, 0.3554, 0.0600)
Pr (0.6446, 0.6446, 0.9400)
Pr (0.7131, 0.7131, 0.6433)
Nd (0.5000, 0.5000, 0.5000)
Dy (0.0781, 0.0781, 0.7228)
Dy (0.1466, 0.1466, 0.4386)
Dy (0.2163, 0.2163, 0.1464)
Dy (0.4188, 0.4188, 0.7762)
Dy (0.5812, 0.5812, 0.2238)
Dy (0.7837, 0.7837, 0.8536)
Dy (0.8534, 0.8534, 0.5614)
Dy (0.9219, 0.9219, 0.2772)

Peak list (10 most intense, 5° ≤ 2θ ≤ 70°, low angle first)
2theta  Rel. int.
29.70  37.8
30.92  100.0
31.10  48.1
32.26  44.7
32.63  43.7
41.16  14.4
47.50  19.1
60.98  14.8
61.08  14.1
61.77  14.3

Entry 4:
Computed X-ray diffraction stick pattern of CsU3S9 for Cu Kα (weighted mean of Kα1 and Kα2), from DFT lattice parameters and positions (PBE).
Intensities are scaled so that the largest is 100.

Cell lengths 9.7522, 9.7522, 5.1014 Å; angles 90.00, 90.00, 120.00 degrees
Fractional positions:
Cs (0.0000, 0.0000, 0.0000)
U (0.0000, 0.5000, 0.5000)
U (0.5000, 0.0000, 0.5000)
____________

Starting from a structure optimized by DFT (PBE), the powder diffractogram of Cs2AgHF6 was simulated for Cu Kα X-rays.
Kinematic intensities with the Lorentz-polarization factor, no thermal factor.

Largest 10 diffraction maxima, in order of falling intensity, 10° ≤ 2θ ≤ 80°:
(1 1 0), 2θ = 30.20°, I = 100
(0 1 8), 2θ = 26.89°, I = 86
(0 1 5), 2θ = 21.53°, I = 61
(2 0 5), 2θ = 37.39°, I = 39
(1 1 18), 2θ = 56.92°, I = 32
(0 2 7), 2θ = 39.56°, I = 32
(1 0 7), 2θ = 24.96°, I = 28
(2 0 8), 2θ = 40.87°, I = 28
(1 0 13), 2θ = 37.94°, I = 24
(1 0 10), 2θ = 31.08°, I = 22

Atomic structure:
a b c (Å): 5.9196 5.9196 34.7719
angles (deg): 90.00 90.00 120.00
Space group R-3m (No. 166, hexagonal axes)
One atom of each set of equivalent atoms:
Cs 0.0000 0.0000 0.1194 [6 per cell]
Cs 0.0000 0.0000 0.2776 [6 per cell]
Ag 0.0000 0.0000 0.0000 [3 per cell]
Ag 0.0000 0.0000 0.5000 [3 per cell]
H 0.0000 0.0000 0.3658 [6 per cell]
F 0.0066 0.5033 0.1335 [18 per cell]
F 0.0601 0.5300 0.3002 [18 per cell]

----------

Entry 1:
Computed X-ray diffraction stick pattern of ScGeRu for Cu Kα (weighted mean of Kα1 and Kα2), from DFT lattice parameters and positions (PBE).
Intensities are scaled so that the largest is 100.

Cell lengths 12.4066, 3.4607, 6.9410 Å; angles 90.00, 90.00, 90.00 degrees
Fractional positions:
Sc (0.0454, 0.0000, 0.2329)
Sc (0.2500, 0.0000, 0.6636)
Sc (0.4546, 0.0000, 0.2329)
Sc (0.5454, 0.0000, 0.7671)
Sc (0.7500, 0.0000, 0.3364)
Sc (0.9546, 0.0000, 0.7671)
Ge (0.0947, 0.5000, 0.5570)
Ge (0.2500, 0.0000, 0.0583)
Ge (0.4053, 0.5000, 0.5570)
Ge (0.5947, 0.5000, 0.4430)
Ge (0.7500, 0.0000, 0.9417)
Ge (0.9053, 0.5000, 0.4430)
Ru (0.1240, 0.5000, 0.9284)
Ru (0.2500, 0.5000, 0.3105)
Ru (0.3760, 0.5000, 0.9284)
Ru (0.6240, 0.5000, 0.0716)
Ru (0.7500, 0.5000, 0.6895)
Ru (0.8760, 0.5000, 0.0716)

Peak list (10 most intense, 5° ≤ 2θ ≤ 70°, low angle first)
2theta  Rel. int.
25.73  50.4
36.24  91.8
36.67  25.3
37.41  50.2
38.97  100.0
39.57  64.0
44.89  45.9
47.27  41.5
47.86  44.1
52.91  39.7

Entry 2:
Computed X-ray diffraction stick pattern of Pr4AlCu2 for Cu Kα (weighted mean of Kα1 and Kα2), from DFT lattice parameters and positions (PBE).
Intensities are scaled so that the largest is 100.

Cell lengths 9.0355, 9.0355, 9.0355 Å; angles 33.04, 33.04, 33.04 degrees
Fractional positions:
Pr (0.1216, 0.1216, 0.1216)
Pr (0.2898, 0.2898, 0.2898)
Pr (0.7102, 0.7102, 0.7102)
Pr (0.8784, 0.8784, 0.8784)
Al (0.5000, 0.5000, 0.5000)
Cu (0.4047, 0.4047, 0.4047)
Cu (0.5953, 0.5953, 0.5953)

Peak list (10 most intense, 5° ≤ 2θ ≤ 70°, low angle first)
2theta  Rel. int.
21.13  16.5
24.36  19.7
26.54  55.0
31.66  57.8
34.92  100.0
40.65  24.4
47.85  18.2
56.02  19.0
60.59  17.8
62.62  17.9

Entry 3:
Computed X-ray diffraction stick pattern of Pr5NdDy8 for Cu Kα (weighted mean of Kα1 and Kα2), from DFT lattice parameters and positions (PBE).
Intensities are scaled so that the largest is 100.

Cell lengths 8.9441, 8.9441, 16.9680 Å; angles 117.55, 117.55, 23.04 degrees
Fractional positions:
Pr (0.0000, 0.0000, 0.0000)
Pr (0.2869, 0.2869, 0.3567)
Pr (0.3554, 0.3554, 0.0600)
Pr (0.6446, 0.6446, 0.9400)
Pr (0.7131, 0.7131, 0.6433)
Nd (0.5000, 0.5000, 0.5000)
Dy (0.0781, 0.0781, 0.7228)
Dy (0.1466, 0.1466, 0.4386)
Dy (0.2163, 0.2163, 0.1464)
Dy (0.4188, 0.4188, 0.7762)
Dy (0.5812, 0.5812, 0.2238)
Dy (0.7837, 0.7837, 0.8536)
Dy (0.8534, 0.8534, 0.5614)
Dy (0.9219, 0.9219, 0.2772)

Peak list (10 most intense, 5° ≤ 2θ ≤ 70°, low angle first)
2theta  Rel. int.
29.70  37.8
30.92  100.0
31.10  48.1
32.26  44.7
32.63  43.7
41.16  14.4
47.50  19.1
60.98  14.8
61.08  14.1
61.77  14.3

Entry 4:
Computed X-ray diffraction stick pattern of CsU3S9 for Cu Kα (weighted mean of Kα1 and Kα2), from DFT lattice parameters and positions (PBE).
Intensities are scaled so that the largest is 100.

Cell lengths 9.7522, 9.7522, 5.1014 Å; angles 90.00, 90.00, 120.00 degrees
Fractional positions:
Cs (0.0000, 0.0000, 0.0000)
U (0.0000, 0.5000, 0.5000)
U (0.5000, 0.0000, 0.5000)